We’re Building a Clear Path to Real Estate Profits

Five very experienced executives are pooling their talents to take advantage of a unique and very lucrative opportunity provided by the JOBS Act and Regulation Crowdfunding (Reg. CF) rule changes in the past year. Marketing for financial products online is essentially a “numbers game”; the more people who see your advertisements the more sales you will make. With a Reg. CF crowdfunding portal each issuer pays for the ads that drive the investors who make your cash register ring.

Our customers are Realtors who are listing commercial properties and who wish to double their commission by syndicating the property rather than splitting the commission with a buyer’s broker. On a $5 million property, that puts an extra $150,000 in the Realtor’s pocket.
ere is nothing new about real estate syndication. Until now investors needed to be “accredited” (net worth over $1 million or income over $200,000). Reg. CF reduced that requirement. It opened the door for an enormous untapped pool of middle-class investors to participate alongside accredited investors and add a slice of an office or apartment building to their investment portfolio. A Reg. CF funding portal is the intermediary that connects those Realtors with those investors.

We are seeking $200,000 to build a Reg. CF funding portal and to market our services to Realtors who see the opportunity to sell properties quickly, without countless walk-throughs and negotiations with buyer’s brokers, and to significantly increase their income.

What are we selling?

We will offer each Realtor an all-inclusive and inexpensive package for us to prepare the operating and legal documents, develop and manage the fundraising campaign and deliver the necessary funds to the title company to close the purchase of the property.

For a smaller property selling for less than $5 million, we expect the package price for our services to be a flat $10,000. We would structure each offering to raise enough to return that amount to the Realtor and also provide a reserve for maintenance and vacancies.
We have retained the services of one of the preeminent crowdfunding marketing companies to develop email templates and other marketing materials for these offerings. We can assist the Realtor to secure mortgage financing for the property if needed.
The Realtor will provide the property description, rent roll, tax information, title, appraisal, and inspection reports as if the property were listed for sale rather than syndication.

Where do the investors come from?

Selling real estate is all about “location, location, location”. We would expect to offer investors the opportunity to invest in properties in their own communities. The marketing campaign would first be targeted at people with whom the Realtor has already done business, not just buyers of homes but former residents who have used the Realtor to sell their homes and others who already know the Realtor’s name.
Emails will also be sent to a list of every homeowner in the county where the Realtor operates. Most Realtors would not send out an email to that broad of an audience with the message “think of me when it comes time to sell your home”. An email that offers homeowners the opportunity to earn 12% or more investing in a property that they frequently drive by sends a different message. It says that the Realtor has much more to offer than his competitors.
Finally, we can purchase lists of the email addresses of accredited investors in the vicinity of the property and use data mining techniques to identify those who have previously invested in other real estate offerings.
We want to be clear that we expect to aggressively market each property in order to attract more investors than we will need. We want to over-subscribe every offering and leave each Realtor with a list of potential investors anxious to participate in the Realtor’s next offering. This is a numbers game, after all.

Did we mention that this is recession proof?

Real estate changes hands in good markets and bad. After the crash in 2008 investors went looking for bargains. Real estate prices are at historic highs in many markets. Should they come down many investors who cannot afford to buy a whole property are likely to be interested in a share in a property that becomes less expensive or distressed.

Competition and our market

There are currently approximately 30 Reg. CF funding portals in operation. In 2021, the industry as a whole raised a total of $1.1 billion. Three portals dominate the market. Those portals are focused on raising funds for start-ups and small businesses. Smaller portals raise funds for franchisees and independent films.
There are a few small portals that specialize in real estate but they are irrelevant to our operation. There are approximately 1 million Realtors in the US. We would be happy to sign up 100 in our first year of operations.

Where is our spreadsheet?

There is no need to open Excel because our operation is lean and mean; no office space, office assistants, or overhead. The five founders are hands-on. Initially, we will work with our marketing company to walk each Realtor through the process. If a Realtor calls with a question, one of the founders will respond. We understand customer service. We do not anticipate taking salaries. We will be content with our share of the profits.

Reg. CF funding portals are permitted to charge a success fee as a percentage of the funds that are raised, typically 7%-9%. A property selling for $4 million might borrow $3 million and raise $1 million as equity from investors. Assuming that we would net 5% of the 7%-9% we charged, raising that $1 million would net our portal $50,000.
If we raise $1 million per month we would net $600,000 per year. When raising $1 million per week, $2.5 million per year. The number of offerings is limited only by the number of salespeople we ultimately hire to reach out to Realtors.

Why do we need $200,000?

-- Between two parts of the article: crystal structures --
- - -
# 1
Starting from a crystal structure in the Materials Project, relaxed with GGA+U, the powder XRD pattern of SrFeP2O8 was simulated for Cu Kα (λ = 1.5418 Å).
Peak positions follow from Bragg's law for the DFT cell and can differ from measured ones.

Peak list (10 most intense, 10 to 90 degrees two-theta, by intensity)
d_spacing	2θ/deg	Rel. int.
4.125	21.54	100.0
3.251	27.43	98.0
2.794	32.03	68.8
2.846	31.43	64.0
2.988	29.90	53.1
6.585	13.45	45.6
4.250	20.90	39.0
2.029	44.66	29.5
3.196	27.92	27.4
2.787	32.12	26.7

Structure:
Cell: 5.7825 7.2326 9.1100 Å, 109.67 101.83 99.56°
Element x y z (fractional)
Sr 0.2424 0.2061 0.4446
Sr 0.7576 0.7939 0.5554
Fe 0.1860 0.8301 0.0459
Fe 0.8140 0.1699 0.9541
P 0.1008 0.5809 0.2682
P 0.3439 0.0290 0.8019
P 0.6561 0.9710 0.1981
P 0.8992 0.4191 0.7318
O 0.0651 0.4056 0.1029
O 0.1160 0.4504 0.6621
O 0.1380 0.9472 0.8711
O 0.1438 0.7859 0.2444
O 0.2201 0.0130 0.6317
O 0.3245 0.5681 0.3887
O 0.4495 0.0901 0.2019
O 0.4990 0.7558 0.0724
O 0.5010 0.2442 0.9276
O 0.5505 0.9099 0.7981
O 0.6755 0.4319 0.6113
O 0.7799 0.9870 0.3683
O 0.8562 0.2141 0.7556
O 0.8620 0.0528 0.1289
O 0.8840 0.5496 0.3379
O 0.9349 0.5944 0.8971

# 2
Starting from a crystal structure in the Materials Project, relaxed with GGA+U, the powder XRD pattern of MgFe4Te2O12 was simulated for Cu Kα (λ = 1.5418 Å).
Peak positions follow from Bragg's law for the DFT cell and can differ from measured ones.

Peak list (10 most intense, 10 to 90 degrees two-theta, by intensity)
d_spacing	2θ/deg	Rel. int.
3.452	25.81	100.0
3.400	26.21	94.9
2.552	35.16	65.8
2.564	34.99	64.3
1.760	51.97	51.6
1.746	52.40	38.3
4.242	20.94	28.7
1.772	51.58	28.4
2.443	36.79	26.1
1.433	65.10	24.8

Structure:
Cell: 4.8042 4.8869 9.0380 Å, 89.93 90.00 89.13°
Element x y z (fractional)
Mg 0.0000 0.0000 0.0000
Fe 0.9998 0.5003 0.8554
Fe 0.4999 0.9999 0.0389
Fe 0.4998 0.0007 0.3653
Fe 0.9995 0.4998 0.5403
Te 0.9999 0.5002 0.2096
Te 0.5002 0.0005 0.6936
O 0.2029 0.3317 0.0415
O 0.2114 0.3260 0.3659
O 0.2270 0.3109 0.6919
O 0.2601 0.8182 0.2018
O 0.2845 0.8394 0.8564
O 0.3020 0.8282 0.5277
O 0.6991 0.1726 0.5282
O 0.7154 0.1610 0.8565
O 0.7390 0.1815 0.2023
O 0.7731 0.6896 0.6919
O 0.7888 0.6743 0.3655
O 0.7964 0.6683 0.0414

# 3
Starting from a crystal structure in the Materials Project, relaxed with GGA+U, the powder XRD pattern of MgMn6O8F4 was simulated for Cu Kα (λ = 1.5418 Å).
Peak positions follow from Bragg's law for the DFT cell and can differ from measured ones.

Peak list (10 most intense, 10 to 90 degrees two-theta, by intensity)
d_spacing	2θ/deg	Rel. int.
3.431	25.97	100.0
1.949	46.59	87.5
4.881	18.17	71.3
3.124	28.57	68.6
2.632	34.07	68.1
2.602	34.47	58.6
2.323	38.76	49.6
2.296	39.23	41.5
2.204	40.94	40.1
6.862	12.90	38.3

Structure:
Cell: 5.9716 5.9716 7.5155 Å, 110.34 110.34 63.10°
Element x y z (fractional)
Mg 0.0000 0.0000 0.0000
Mn 0.2350 0.7650 0.5000
Mn 0.4476 0.5524 0.0000
Mn 0.4707 0.0055 0.9451
Mn 0.5680 0.1042 0.3692
Mn 0.8958 0.4320 0.6308
Mn 0.9945 0.5293 0.0549
- - -
-- Back to the article --

Part of the funds will be used to create the portal itself and move it through the licensing process.
Part of the funds will be used to have our portal professionally branded. We want a brand that tells investors that we are trustworthy and professional; that the investments o˝ered on our portal are good investments worthy of their consideration.
Some of the funds will be held in reserve in case we underestimate how much it will take to fully fund a particular property. If we come up short then we will be prepared to keep the marketing campaign going, sending out more and more emails. We expect to be able to advertise that we will fund the purchase of the property, every time, just like Wall Street does.

We saved the best for last

Reg. CF requires that every investor in any offering do so through a portal. Every email that is sent out will have our portal’s logo and direct people to the portal’s landing page. Everyone who lands on that page will be a self-described investor. The portal is required to take some basic information about the investor’s income and net worth even if the investor does not invest and is just looking around.
That ever-expanding database of investors will be a valuable asset that we can easily monetize. As the database grows we can offer these investors proprietary real estate funds, a link to a robo-investment advisor, and develop marketing relationships with companies selling home, auto, and life insurance.
Fidelity, Vanguard, and Charles Schwab spend their own capital to fund the marketing campaigns to drive investors to their websites. The marketing campaigns that will attract investors to our website will be paid for by the Realtors that list their offerings upon it. That fact is unique in the Financial Services industry and what attracted us to Reg.CF in the first place.

What does an investor in our portal get for $200,000?

We are offering a 10% interest in the LLC that will own the portal we will operate. Given that the founders are not taking salaries we would expect to begin profit distributions within 24 months.